Many readers have commented on the series of interviews that TMI has conducted this year with Peter van Rood, Group Treasurer, AkzoNobel and his colleagues. In 2007, Peter van Rood was tasked to transform the company’s treasury function entirely, turning it from an execution centre, focused on routine, repetitive tasks to a strategic centre that was best-in-class in its industry. This coincided with some of the most significant events in the life of the company in recent years, with 60% of the company’s debt maturing between April 2008 and March 2009, the peak of the financial crisis, and the acquisition of ICI.
Since then, every aspect of treasury has seen radical change and enhancement. The company has rationalised its banking partners, devised new policies and procedures, implemented new technology, enhanced its cash and working capital framework, secured financing at the peak of the crisis, and is well-respected as a leading force in the treasury profession. This success is directly attributable to Peter van Rood, the excellent team that he has appointed, and their key banking partners, including ING, and suppliers. As Peter van Rood confirms,
“Transforming each of these areas has required considerable support from treasury staff, our key banks and other business partners”.
While this is the first time we have given an award for the Treasury Team of the Year, the efforts of Peter and his team have been truly impressive, and we are delighted to have featured their accomplishments in TMI.
Corporate Recognition Award for Innovation and Excellence in Treasury Technology

This year’s Award is given to Caterpillar, following Martin Bina’s article ‘Simplicity, Standardisation and Security with SWIFT’ that appeared in the TMI 2010 SWIFT Connectivity Guide. Caterpillar recognised that the launch of SCORE (Standardised Corporate Environment) would enhance the value proposition for SWIFT, and enable the company to achieve its technology and bank communication objectives. Caterpillar has a very strong relationship with its primary bank, and with its TMS vendor, which it also appointed as its SWIFT service bureau. These relationships have proved vital in enabling the company to implement SWIFT successfully, and to address the challenges that invariably materialise in a project of this scale and complexity. For example, as Martin explains, “We found ourselves at the forefront of ISO 20022 adoption without necessarily expecting this.”
He also emphasises, “SWIFTNet is commonly described as the most reliable network in the world, but a payments or cash management process is only as reliable as the weakest link in the overall cycle. With a variety of internal processes and systems, as well as SWIFTNet, attention needs to be given to increasing the resilience of the whole process as opposed to simply focusing on individual elements or relying on the final step.”
Corporate Recognition Award for Innovation and Excellence in Risk Management

/*
No. 1
Fe4O3F5 | GGA+U | optimized geometry

Lattice parameters (Å, degrees): 4.7626 4.7704 12.5599 91.25 90.41 91.42
Closest atoms and distances in Å follow each position.
Fractional positions:
F1 0.1886 0.8060 0.6287  3 Fe 2.06-2.14
Fe1 0.0000 0.0000 0.5000  2 O 1.91, 4 F 2.07-2.09
F2 0.2832 0.2933 0.7526  2 Fe 2.03-2.10
Fe2 0.0169 0.0349 0.2407  2 O 1.91-1.92, 4 F 2.04-2.13
Fe3 0.5193 0.4606 0.1343  2 O 1.92, 3 F 2.03-2.13
O1 0.3170 0.3078 0.2525  3 Fe 1.91-2.04
F3 0.8090 0.1872 0.6302  3 Fe 2.07-2.13
O2 0.7125 0.7127 0.4952  3 Fe 1.91-2.00
Fe4 0.9831 0.9651 0.7593  2 O 1.91-1.92, 4 F 2.04-2.13
F4 0.3192 0.3200 0.9990  3 Fe 2.04-2.13
O3 0.8142 0.1946 0.1254  3 Fe 1.92-2.03
F5 0.7821 0.2104 0.8686  3 Fe 2.04-2.22
F6 0.6808 0.6800 0.0010  3 Fe 2.04-2.13
O4 0.2875 0.2873 0.5048  3 Fe 1.91-2.00
F7 0.8114 0.1940 0.3713  3 Fe 2.06-2.14
Fe5 0.4807 0.5394 0.8657  2 O 1.92, 3 F 2.03-2.13
O5 0.6830 0.6922 0.7475  3 Fe 1.91-2.04
Fe6 0.5184 0.5114 0.6114  3 O 1.99-2.04, 2 F 2.12-2.14
F8 0.1910 0.8128 0.3698  3 Fe 2.07-2.13
O6 0.1858 0.8054 0.8746  3 Fe 1.92-2.03
Fe7 0.0000 0.0000 0.0000  2 O 2.03, 4 F 2.13-2.22
F9 0.7168 0.7067 0.2474  2 Fe 2.03-2.10
Fe8 0.4816 0.4886 0.3886  3 O 1.99-2.04, 2 F 2.12-2.14
F10 0.2179 0.7896 0.1314  3 Fe 2.04-2.22

Total moment = 1.58 μB/atom
SG = P-1
Offset from the most stable computed form = 0.072 eV/atom

No. 2
Rb2NiF4 | GGA+U | optimized geometry

Lattice parameters (Å, degrees): 7.5321 7.5321 7.5321 147.93 147.93 45.98
Closest atoms and distances in Å follow each position.
Fractional positions:
Ni1 0.0000 0.0000 0.0000  6 F 2.03-2.08
F1 0.0000 0.5000 0.5000  2 Ni 2.08
F2 0.8539 0.8539 0.0000  1 Ni 2.03
Rb1 0.3540 0.3540 0.0000  9 F 2.88-2.94
F3 0.5000 0.0000 0.5000  2 Ni 2.08
F4 0.1461 0.1461 0.0000  1 Ni 2.03
Rb2 0.6460 0.6460 0.0000  9 F 2.88-2.94

SG = I4/mmm

No. 3
PW6O20 | GGA+U | optimized geometry

Lattice parameters (Å, degrees): 5.3920 6.6723 42.9833 90.00 90.00 90.00
Closest atoms and distances in Å follow each position.
Fractional positions:
O1 0.4777 0.6081 0.6833  2 W 1.87-2.01
O2 0.4738 0.2780 0.6078  2 W 1.89-1.97
O3 0.0430 0.5671 0.5767  2 W 1.90-1.96
W1 0.2444 0.2453 0.0541  6 O 1.91-1.98
O4 0.7549 0.9160 0.4815  2 W 1.91-1.94
O5 0.9799 0.5729 0.6875  2 W 1.86-2.02
W2 0.2556 0.7547 0.5541  6 O 1.91-1.98
O6 0.4718 0.9429 0.5343  2 W 1.91-1.94
O7 0.5223 0.1081 0.8167  2 W 1.87-2.01
W3 0.2455 0.5768 0.1999  6 O 1.85-2.06
O8 0.0415 0.8867 0.4285  2 W 1.90-1.96
O9 0.7598 0.2564 0.5551  2 W 1.89-1.96
O10 0.7416 0.7610 0.8350  2 W 1.85-2.00
W4 0.7576 0.7615 0.6637  6 O 1.85-2.05
O11 0.2541 0.9237 0.5919  2 W 1.87-1.98
W5 0.7584 0.4249 0.5904  6 O 1.89-2.02
O12 0.7574 0.5900 0.6298  2 W 1.85-2.02
W6 0.2424 0.2615 0.8363  6 O 1.85-2.05
O13 0.4570 0.4329 0.0767  2 W 1.90-1.96
O14 0.0486 0.2395 0.2836  1 P 1.54
O15 0.7459 0.4237 0.9081  2 W 1.87-1.98
W7 0.2460 0.9069 0.1265  6 O 1.87-2.00
P1 0.2370 0.6163 0.7761  4 O 1.54
O16 0.5262 0.7780 0.8922  2 W 1.89-1.97
O17 0.4656 0.4424 0.8547  2 W 1.88-1.99
*/
Skanska Poland
Maciej Müldner, Treasurer of Skanska Poland, first described the company’s approach to managing risk during the crisis in TMI edition 171, back in 2009. A year later (TMI, 190), he reviewed his strategy and its outcomes. Like many other companies, Skanska has taken a multi-faceted approach to risk, with a particular emphasis on comprehensive operational risk assessments for each project, including financial risks. The project manager is responsible for all aspects of project delivery, so there is a strong connection between the business and finance throughout. Skanska extended its focus on counterparty risk during the crisis, both customers and suppliers. For example, the company has a close and proactive relationship with its suppliers, and a disciplined approach to identifying and managing supplier risk, which has been successful in avoiding any negative impact resulting from supplier failures. What is clear from Skanska’s experience is that a combined approach to business risk and financial risk can be very positive, and ensures that all employees’ objectives are aligned. As Maciej Müldner outlines,
“For Skanska, a major achievement in recent times has been the strengthening of the relationship between treasury and the business as a whole. Each business function now understands what treasury does, the financial needs of the company and how each department can help to mitigate risk and further our financial objectives.” [[[PAGE]]]
Corporate Recognition Award for Innovation and Excellence in Cash Management
As Mike Ballet’s article in edition 185 of TMI, ‘Strategies for Centralisation, Visibility and Control in Uncertain Times’ illustrated, Aviapartner was in the midst of a liquidity crisis, with fully utilised credit facilities and breached financial covenants. Aviapartner took a highly pragmatic, effective and (seemingly!) calm approach to addressing the situation and reversing its position, becoming a financially robust entity with a positive future. The first step was to appoint the right people, which was critical in ensuring the success of the company’s recovery strategy. Mike and his team went on to identify the key priorities that would contribute to success: establishing a new cash management framework, focused on centralising cash; appointing a new partner bank, and achieving standardisation by migrating to SEPA. Being an early adopter has brought considerable advantages. As Mike Ballet suggests,
“With SEPA approaching inexorably… there are opportunities for every treasury to enhance the way they operate…Treasurers should at least investigate the potential for reshaping treasury flows and taking advantage of more efficient and cost-effective cash management practices.”
Corporate Recognition Award for Innovation and Excellence in Financing
This Award was the most difficult decision, as so many companies have been obliged by necessity to find new ways to finance the business. As Otto Jager’s article, ‘Hybrid Innovation at TenneT’ (TMI edition 186) explained, TenneT had a unique situation to contend with, in that it is a state-owned business, but its debt obligations are not guaranteed by the state. Although the hybrid market collapsed during the banking crisis, Otto Jager, Group Treasurer, recognised that a hybrid structure would enable TenneT to maintain its strong credit profile and ensured continued access to debt financing in the future, therefore meeting its most important financing objectives. TenneT’s hybrid bond was immediately and heavily oversubscribed, emphasising investors’ appetite for this type of structure. Otto Jager explains,
“Hybrid bonds are complex, and in many cases, there is a lack of familiarity with these instruments amongst the corporate community, with 95% of hybrid bonds still issued by the financial sector. However, hybrid debt is attractive and could be used more widely.”
François Masquelier
## Inserted here: materials data
~~~
(1)
Here is a relaxed Ho2CoRu crystal from the Materials Project. Energies are from PBE.

abc: 6.7395 6.7395 6.7395
angles: 90.00 90.00 90.00
Space group Fm-3m (No. 225)
Symmetry-distinct sites (fractional):
Ho 0.2500 0.2500 0.2500
Co 0.0000 0.0000 0.0000
Ru 0.0000 0.0000 0.5000

Summary:
Calculated volume ... 77 Å³/f.u.
Crystal system ... cubic
Formation enthalpy at 0 K ... -6.449 kcal/mol of atoms

(2)
Here is a relaxed ZrVMo crystal from the Materials Project. Energies are from PBE.

abc: 5.2700 5.3603 7.4627
angles: 90.00 90.00 90.00
Space group Imma (No. 74)
Symmetry-distinct sites (fractional):
Zr 0.0000 0.2500 0.1255
V 0.0000 0.0000 0.5000
Mo 0.2500 0.2500 0.7500

Summary:
Calculated volume ... 53 Å³/f.u.
Crystal system ... orthorhombic
Formation enthalpy at 0 K ... -2.648 kcal/mol of atoms

(3)
Here is a relaxed Sm2IrPd crystal from the Materials Project. Energies are from PBE.

abc: 7.0810 7.0810 7.0810
angles: 90.00 90.00 90.00
Space group Fm-3m (No. 225)
Symmetry-distinct sites (fractional):
Sm 0.2500 0.2500 0.2500
Ir 0.0000 0.0000 0.0000
Pd 0.0000 0.0000 0.5000

Summary:
Calculated volume ... 89 Å³/f.u.
Crystal system ... cubic
Formation enthalpy at 0 K ... -18.021 kcal/mol of atoms

(4)
Here is a relaxed Tm3Ni11Ge4 crystal from the Materials Project. Energies are from PBE.

abc: 8.2666 8.2666 8.5375
angles: 90.00 90.00 120.00
Space group P6_3/mmc (No. 194)
Symmetry-distinct sites (fractional):
Tm 0.1956 0.3911 0.2500
Ni 0.1301 0.5650 0.7500
Ni 0.1564 0.3128 0.5954
Ni 0.3333 0.6667 0.5022
Ge 0.0000 0.0000 0.2500
Ge 0.0000 0.5000 0.0000

Summary:
Calculated volume ... 253 Å³/f.u.
Crystal system ... hexagonal
Formation enthalpy at 0 K ... -10.730 kcal/mol of atoms

(5)
Here is a relaxed MgBi2O4 crystal from the Materials Project. Energies are from PBE.

abc: 6.8414 11.3131 6.1002
angles: 90.00 90.00 90.00
Space group Pmmn (No. 59, origin choice 2)
Symmetry-distinct sites (fractional):
Mg 0.2500 0.2500 0.0345
Mg 0.2500 0.7500 0.3600
Bi 0.0000 0.0000 0.5000
Bi 0.2500 0.5410 0.9939
O 0.0127 0.6289 0.1776
O 0.2500 0.1038 0.2506
O 0.2500 0.6253 0.5979

Summary:
Relative energy among the computed polymorphs ... 0.291 eV/atom
Calculated volume ... 118 Å³/f.u.
Crystal system ... orthorhombic
Formation enthalpy at 0 K ... -39.363 kcal/mol of atoms

(6)
Here is a relaxed EuBi2Se4 crystal from the Materials Project. Energies are from PBE.

abc: 12.5126 4.2496 15.4515
angles: 90.00 90.00 90.00
Space group Pnma (No. 62)
Symmetry-distinct sites (fractional):
Eu 0.2457 0.2500 0.1616
Bi 0.0708 0.2500 0.9000
Bi 0.0789 0.2500 0.3904
Se 0.0056 0.7500 0.7876
Se 0.0832 0.2500 0.5845
Se 0.1470 0.7500 0.0293
Se 0.2191 0.7500 0.3139

Summary:
Calculated volume ... 205 Å³/f.u.
Crystal system ... orthorhombic
Formation enthalpy at 0 K ... -25.264 kcal/mol of atoms

(7)
Here is a relaxed Ag5Hg4P8Cl5 crystal from the Materials Project. Energies are from PBE.

abc: 14.6495 11.1511 6.3610
angles: 90.00 103.58 90.00
Space group C2/m (No. 12)
~~~
Few regular readers will need an introduction to François. Not only is he a pioneering force at RTL, where he is Head of Corporate Finance and Treasury, and with the EACT as Honorary Chairman, but he very generously finds the time to write for TMI. Once again, we are delighted to honour François’ unparalleled contribution to TMI, and thank him for his time, wisdom and practicality that we, and our readers value so highly.